Picture By: Kyson Dana
Let’s face it, anyone living in this modern world knows the daily trials and tribulations of just being. It seems like there is a lot of pressure (sometimes self inflicted) on this generation to be constantly doing, succeeding and achieving at all costs. In the middle of this modern chaos, so many of us have forgotten to take a step back and take care of ourselves emotionally, physically and spiritually. So this article is for all my super busy, super stressed, super humans out there who are doing it all – except balancing their crazy lives with a little bit of calm amidst the proverbial storm.
Now before I get into the nitty gritty, I want to introduce you to the Traditional Chinese Medicine concept of yin and yang (yang is pronounced “yong” by the way), see you’ve learned something already! Chances are you’ve heard of “yin and yang.” I think most people are familiar with the concept that they are opposite energies which compliment one another, or maybe you are just picturing the quintessential yin yang symbol. Well the Coles notes version is that yin is more a soft, calm, gentle energy, and that yang is a more intense, firey, energetic energy. While these concepts are rooted in Traditional Chinese Medicine, and eastern philosophy, they relate much more to our everyday lives than we might think.
Here’s the reality for most people these days – in the word’s of Rhianna – work, work, work, work, work.
It seems to me that a lot of people these days have stressful, taxing jobs that weigh them down. Engage in exercise programs that are rigorous and challenging. They sit in hours of traffic with other frustrated drivers on their commutes to and from work, and barely have time to eat a healthy balanced diet let alone engage in other self care practices.
Attached: data records >
<<<
(1)
The following is a theoretical powder X-ray diffraction pattern of Sr3LaCu2HgBiO10. It was derived from a DFT-relaxed cell (GGA-PBE, the Materials Project), using a wavelength of 1.5418 Å.
Peak positions follow from Bragg's law for the DFT cell and can differ from measured ones.

Structure:
Cell: 3.828 7.740 9.581 Å, 66.26 89.79 89.80°
Space group P1 (No. 1)
One atom of each set of equivalent atoms:
Sr 0.000 0.000 0.000 [1 per cell]
Sr 0.001 0.195 0.599 [1 per cell]
Sr 0.999 0.702 0.595 [1 per cell]
La 0.998 0.497 0.000 [1 per cell]
Cu 0.500 0.349 0.795 [1 per cell]
Cu 0.500 0.843 0.810 [1 per cell]
Hg 0.502 0.096 0.305 [1 per cell]
Bi 0.540 0.600 0.302 [1 per cell]
O 0.000 0.352 0.803 [1 per cell]
O 0.493 0.231 0.073 [1 per cell]
O 0.494 0.715 0.051 [1 per cell]
O 0.494 0.967 0.537 [1 per cell]
O 0.496 0.476 0.547 [1 per cell]
O 0.501 0.099 0.796 [1 per cell]
O 0.501 0.587 0.818 [1 per cell]
O 0.964 0.414 0.291 [1 per cell]
O 0.973 0.783 0.297 [1 per cell]
O 0.999 0.835 0.812 [1 per cell]

Largest 10 diffraction maxima, low angle first, 2θ = 10–90°:
2theta, I_rel
25.15, 37.1
25.38, 34.1
30.81, 100.0
31.01, 94.7
32.85, 64.2
32.97, 63.9
45.50, 36.5
46.96, 28.7
47.50, 28.3
57.63, 27.2

=====

(2)
The following is a theoretical powder X-ray diffraction pattern of Sr3LaCu2HgBiO10. It was derived from a DFT-relaxed cell (GGA-PBE, the Materials Project), using a wavelength of 1.5418 Å.
Peak positions follow from Bragg's law for the DFT cell and can differ from measured ones.

Structure:
Cell: 5.296 5.302 18.050 Å, 90.00 90.00 90.00°
Space group Imm2 (No. 44)
One atom of each set of equivalent atoms:
Sr 0.000 0.000 0.000 [2 per cell]
Sr 0.000 0.000 0.207 [2 per cell]
Sr 0.000 0.000 0.498 [2 per cell]
La 0.000 0.000 0.702 [2 per cell]
Cu 0.000 0.500 0.099 [2 per cell]
Cu 0.000 0.500 0.601 [2 per cell]
Hg 0.000 0.500 0.354 [2 per cell]
Bi 0.000 0.500 0.854 [2 per cell]
O 0.000 0.000 0.353 [2 per cell]
O 0.000 0.000 0.848 [2 per cell]
O 0.000 0.500 0.235 [2 per cell]
O 0.000 0.500 0.472 [2 per cell]
O 0.000 0.500 0.731 [2 per cell]
O 0.000 0.500 0.976 [2 per cell]
O 0.246 0.246 0.607 [8 per cell]

Largest 10 diffraction maxima, low angle first, 2θ = 10–90°:
2theta, I_rel
25.74, 32.3
31.02, 100.0
33.83, 62.9
39.96, 15.6
45.62, 24.5
48.59, 28.4
53.33, 19.5
56.60, 13.1
58.78, 34.3
64.67, 13.9

=====

(3)
The following is a theoretical powder X-ray diffraction pattern of K2CuBiI6. It was derived from a DFT-relaxed cell (GGA-PBE, the Materials Project), using a wavelength of 1.5418 Å.
Peak positions follow from Bragg's law for the DFT cell and can differ from measured ones.

Structure:
Cell: 11.861 11.861 11.861 Å, 90.00 90.00 90.00°
Space group Fm-3m (No. 225)
One atom of each set of equivalent atoms:
K 0.250 0.250 0.250 [8 per cell]
Cu 0.000 0.000 0.000 [4 per cell]
Bi 0.000 0.000 0.500 [4 per cell]
I 0.000 0.000 0.239 [24 per cell]

Largest 10 diffraction maxima, low angle first, 2θ = 10–90°:
2theta, I_rel
14.94, 85.6
26.02, 49.7
30.14, 100.0
>>>
What all these things have in common is their “yang” quality.
Many people are living the majority of their lives involved in very yang activities, with very intense and yang attitudes. It’s not wrong – we absolutely need yang in our lives – it’s the thing that lights a fire under us, get’s us going, helps us achieve those big bad goals we have, but in excess and if not balanced out with some yin it can wreak havoc on our health and well-being.
Now, these yang elements in our life, like our stressful job’s, terrible traffic, and cross-fit-esque work out routines aren’t going anywhere. To be honest hey don’t have to, and in fact they shouldn’t! However, what we need to consider is that the more yang aspects in our lives, the more we need to consciously, and purposefully engage in balancing yin activities.
We need a balance of yin and yang in our lives to achieve optimal health. This is critical.
Many alternative health care practitioners will actually prescribe meditation, tai chi, and other yin activities to help their clients achieve optimal health – because optimal health is much more then a healthy diet and an exercise program. Though both those things are a great start.
I am very aware that most people don’t have 2-3 hours a day to meditate, do yoga, take an epsom salt bath, do intense self massage, and journal positive thoughts until the cows come home to combat the stress of their day. So i’m here to show you that incorporating more yin into your life doesn’t have to take 3 hours, an epsom salt bath and and an hour meditation.
So here are 10 simple things you can do to create balance in your life:
1: Sit for 5 minutes and focus on your breath
(Inserted here: records of crystals)
'''
This entry pairs a crystal structure of VF5 with its computed XRD peak list. Radiation: copper Kα. Structure: a cell relaxed with GGA+U.
Intensities are scaled so that the largest is 100.

Crystal structure
```
VF5
1.0
5.1936 0.0000 0.0000
0.0000 5.5366 0.0000
0.0000 0.0000 13.3557
V F
4 20
direct
0.2039 0.1202 0.4059 V
0.2961 0.8798 0.9059 V
0.7039 0.3798 0.5941 V
0.7961 0.6202 0.0941 V
0.0097 0.8263 0.0004 F
0.0698 0.5923 0.1693 F
0.0978 0.0536 0.8298 F
0.1187 0.8852 0.4889 F
0.2056 0.5964 0.8566 F
0.2944 0.4036 0.3566 F
0.3813 0.1148 0.9889 F
0.4022 0.9464 0.3298 F
0.4302 0.4077 0.6693 F
0.4903 0.1737 0.5004 F
0.5097 0.6737 0.9996 F
0.5698 0.9077 0.8307 F
0.5978 0.4464 0.1702 F
0.6187 0.6148 0.5111 F
0.7056 0.9036 0.1434 F
0.7944 0.0964 0.6434 F
0.8813 0.3852 0.0111 F
0.9022 0.5536 0.6702 F
0.9302 0.0923 0.3307 F
0.9903 0.3263 0.4996 F
```

Main lines, by angle (2θ from 10° to 90°):
(0 0 2), 2θ 13.26, d 6.678, I 38; (0 1 1), 2θ 17.34, d 5.115, I 68; (0 1 2), 2θ 20.84, d 4.262, I 60; (1 0 2), 2θ 21.68, d 4.100, I 100; (1 1 0), 2θ 23.49, d 3.788, I 20; (1 1 1), 2θ 24.43, d 3.644, I 17; (1 1 2), 2θ 27.06, d 3.295, I 24; (1 1 3), 2θ 31.00, d 2.885, I 22; (1 2 4), 2θ 46.04, d 1.972, I 15; (1 2 5), 2θ 50.64, d 1.803, I 15

~~~~~

Structure and computed PXRD pattern of Tl4Re (DFT lattice parameters and positions (PBE); Cu Kα).

The 8 most intense peaks (10° ≤ 2θ ≤ 90°), in order of rising 2θ:
hkl 1 1 0, 2θ = 19.5°, intensity 25; hkl 2 0 0, 2θ = 27.7°, intensity 54; hkl 1 1 2, 2θ = 34.1°, intensity 82; hkl 2 2 0, 2θ = 39.5°, intensity 100; hkl 3 1 2, 2θ = 53.2°, intensity 30; hkl 4 1 1, 2θ = 60.9°, intensity 18; hkl 1 1 4, 2θ = 61.1°, intensity 19; hkl 4 2 2, 2θ = 71.7°, intensity 16

Cell and atoms:
```
Tl4Re
1.0
6.450 0.000 0.000
0.000 6.450 0.000
0.000 0.000 6.438
Tl Re
8 2
Direct
0.220 0.223 0.307
0.223 0.780 0.693
0.277 0.280 0.807
0.280 0.723 0.193
0.720 0.277 0.193
0.723 0.720 0.807
0.777 0.220 0.693
0.780 0.777 0.307
0.000 0.000 0.000
0.500 0.500 0.500
```

=====

Structure and computed PXRD pattern of Sm3TmMg4 (DFT lattice parameters and positions (PBE); Cu Kα).

The 8 most intense peaks (10° ≤ 2θ ≤ 90°), in order of rising 2θ:
hkl 1 0 0, 2θ = 23.2°, intensity 21; hkl 0 1 2, 2θ = 23.3°, intensity 41; hkl 1 1 2, 2θ = 33.1°, intensity 100; hkl 1 2 0, 2θ = 40.9°, intensity 19; hkl 0 2 4, 2θ = 47.6°, intensity 12; hkl 1 2 4, 2θ = 53.7°, intensity 18; hkl 2 2 0, 2θ = 59.1°, intensity 13; hkl 1 3 2, 2θ = 59.3°, intensity 25

Cell and atoms:
```
Sm3TmMg4
1.0
3.834 0.000 0.000
0.000 5.395 0.000
0.000 0.000 10.802
Sm Tm Mg
3 1 4
Direct
0.000 0.000 0.000
0.000 0.500 0.251
0.000 0.500 0.749
0.000 0.000 0.500
0.500 0.000 0.254
0.500 0.000 0.746
0.500 0.500 0.000
0.500 0.500 0.500
```

=====

Structure and computed PXRD pattern of AcCe2YSe5 (DFT lattice parameters and positions (PBE); Cu Kα).

The 8 most intense peaks (10° ≤ 2θ ≤ 90°), in order of rising 2θ:
'''
Starting to sit and meditate for even 5 minutes per day can reduce your stress levels, and increase the yin in your life. Now this meditation doesn’t need to be sitting in lotus position, or chanting Om – it could be at your desk at work, in your car, at home – anywhere you want, taking 5 minutes to focus on your breath. That’s it. Try taking 5 minutes a day to do this, and notice how it impacts your life.
2: Eat your lunch mindfully
This is something we are all guilty of from time to time. It has become commonplace to just eat your lunch in front of your computer, T.V., or while reading a report, or important document. However, the fact that we all need to eat means that this is an opportunity we have every day to incorporate mindfulness, and increase our yin. Intentionally choose for one meal of your day to be eaten in silence, with mindful awareness.
The following is a simulated powder diffraction line list of NdTh3O8. It was derived from a structure optimized by DFT (PBE), using Cu Kα.
No peak broadening, texture or thermal motion is included.

Cell and atoms:
a = 5.626 Å, b = 5.626 Å, c = 5.626 Å
α = 90.00°, β = 90.00°, γ = 90.00°
Sites, in units of the cell vectors:
Nd1 0.000 0.000 0.000
Th1 0.000 0.500 0.500
Th2 0.500 0.000 0.500
Th3 0.500 0.500 0.000
O1 0.253 0.253 0.253
O2 0.253 0.253 0.747
O3 0.253 0.747 0.253
O4 0.253 0.747 0.747
O5 0.747 0.253 0.253
O6 0.747 0.253 0.747
O7 0.747 0.747 0.253
O8 0.747 0.747 0.747

Principal peaks in the range 2θ = 5–70°, by angle:
| 2θ (°) | intensity | h k l |
| --- | --- | --- |
| 27.46 | 100 | 1 1 1 |
| 31.81 | 36 | 2 0 0 |
| 45.61 | 51 | 2 2 0 |
| 54.06 | 48 | 3 1 1 |
| 56.68 | 10 | 2 2 2 |
| 66.48 | 8 | 4 0 0 |

* * * * *

Structure and computed powder XRD pattern of CaPmZn2 (the GGA-PBE geometry in the Materials Project; a wavelength of 1.5418 Å).

Largest 8 diffraction maxima, in order of falling intensity, 15° ≤ 2θ ≤ 90°:
| d [Å] | 2theta | I/Imax |
| --- | --- | --- |
| 2.594 | 34.6 | 100 |
| 1.497 | 62.0 | 35 |
| 4.235 | 21.0 | 23 |
| 1.834 | 49.7 | 17 |
| 1.160 | 83.3 | 15 |
| 2.212 | 40.8 | 13 |
| 1.297 | 72.9 | 11 |
| 1.683 | 54.5 | 6 |

Structure:
```
CaPmZn2
1.0
0.0000 3.6680 3.6680
3.6680 0.0000 3.6680
3.6680 3.6680 0.0000
Ca Pm Zn
1 1 2
Direct
0.0000 0.0000 0.0000 Ca
0.5000 0.5000 0.5000 Pm
0.2500 0.2500 0.2500 Zn
0.7500 0.7500 0.7500 Zn
```

Structure and computed powder XRD pattern of CaPr3 (the GGA-PBE geometry in the Materials Project; a wavelength of 1.5418 Å).

Largest 8 diffraction maxima, in order of falling intensity, 15° ≤ 2θ ≤ 90°:
| d [Å] | 2theta | I/Imax |
| --- | --- | --- |
| 2.876 | 31.1 | 100 |
| 3.034 | 29.4 | 26 |
| 3.265 | 27.3 | 23 |
| 1.601 | 57.6 | 23 |
| 1.720 | 53.3 | 22 |
| 1.885 | 48.3 | 19 |
| 1.577 | 58.5 | 16 |
| 2.223 | 40.6 | 16 |

Structure:
```
CaPr3
1.0
7.5413 0.0000 0.0000
-3.7706 6.5309 0.0000
0.0000 0.0000 6.0689
Ca Pr
2 6
Direct
0.3333 0.6667 0.2500 Ca
0.6667 0.3333 0.7500 Ca
0.1649 0.3298 0.7500 Pr
0.1649 0.8351 0.7500 Pr
0.3298 0.1649 0.2500 Pr
0.6702 0.8351 0.7500 Pr
0.8351 0.1649 0.2500 Pr
0.8351 0.6702 0.2500 Pr
```

Structure and computed powder XRD pattern of CaPrRh2 (the GGA-PBE geometry in the Materials Project; a wavelength of 1.5418 Å).

Largest 8 diffraction maxima, in order of falling intensity, 15° ≤ 2θ ≤ 90°:
| d [Å] | 2theta | I/Imax |
| --- | --- | --- |
| 2.477 | 36.3 | 100 |
| 1.430 | 65.2 | 35 |
| 1.751 | 52.2 | 17 |
| 1.108 | 88.2 | 15 |
| 4.044 | 22.0 | 15 |
| 1.238 | 77.0 | 11 |
| 2.112 | 42.8 | 8 |
| 1.607 | 57.3 | 4 |

Structure:
```
CaPrRh2
1.0
0.0000 3.5026 3.5026
3.5026 0.0000 3.5026
3.5026 3.5026 0.0000
Ca Pr Rh
1 1 2
Direct
0.0000 0.0000 0.0000 Ca
0.5000 0.5000 0.5000 Pr
0.2500 0.2500 0.2500 Rh
0.7500 0.7500 0.7500 Rh
```

Structure and computed powder XRD pattern of CaPr8Se12 (the GGA-PBE geometry in the Materials Project; a wavelength of 1.5418 Å).
3: Go for a walk in nature
Now when I say go for a walk I don’t mean walk down the street with your cell phone attached to your hand, scrolling Instagram – I mean a mindful walk. Take your partner and have a meaningful conversation to connect, your dog, or simply go by yourself and practice being alone for as short as 10 minutes at a time. This is such a nourishing practice that will absolutely increase the yin in your life.
4: Mindfully choose to Netflix and chill
This is probably one of the most common ways that we unknowingly up our yin – we Netflix and chill. Sometimes for hours on end! While binge watching your favourite T.V. show for literally hours and hours may not be the healthiest choice, every now and then choosing Netflix in a time of stress can be a powerful way to unwind after a long day. What I want to emphasize about this – and as it says in the title – is that you CHOOSE to Netflix and chill, rather than automatically coming home after a long day and immediately turning on the T.V. Helping T.V. can help us remove ourselves from the stress of the day, by engaging in something other than what we are stressed about.
5: Read a book
We all have that book we’ve been meaning to read. I know that I often get intimidated because books because they’re long, and often take me a while to get through. But interestingly enough, I find that after i’ve read a book for even 10 minutes, my energy shifts and I feel more calm. See if you can dedicate 10 minutes each night before you go to bed to reading that book you’ve always wanted to read. It will definitely increase the yin in your life, and each day you’ll be one step closer to finishing it.
6: Unplug from your electronics
This one is great, and something I have tried incorporating into my life. Now, for some people this may not be possible depending on your job (like if you’re an on-call surgeon… I guess you should keep that pager on right?), but for most people staying glued to their devices is a choice. See if you can spend the hour right before bed electronic free. That way you wont be tempted to look at work emails, mindlessly scroll through Facebook and Instagram comparing your life to the one’s you see online, and create space for you to connect with yourself, and do things which nourish your body, mind and soul.
7: Incorporate yoga into your weekly exercise regime
Sometimes we get so consumed in exercising for the purpose of losing weight, rather than for exercising for the purpose of nourishing and honouring our body. Many typical weight loss and exercise regimes can be very intense and “yang” in nature. See if you can incorporate yoga even once a week into your schedule. If you are unable to attend a class in person, look online for some free yoga classes (they have some great ones on Youtube). Some are even as short as 10 minute which can still have a positive impact and up your yin! There also happens to be a style of yoga called yin, and I would definitely recommend trying this.
8: Use your commute to practice mindfulness
This is where I really used to struggle. My commute was so stressful – in fact most of my job was commuting, going from client to client. I began to use the long commutes as opportunities to focus on my breath, practice mindfulness, notice my thoughts and feelings (yes, even the angry ones), and just allow them to be there! So the next time you are stuck on the free-way, notice yourself getting frustrated, angry, impatient or whatever other emotions come up, and see if you can use this space as an opportunity to practice mindfulness.
9: Pick one daily task and do it with mindful awareness
In the 8-week Mindfulness course that I teach, one of the exercises we give participants is to pick one daily activity and perform these every single day with mindful awareness. So something like brushing your teeth, taking a shower, or washing the dishes and doing so with complete attention and awareness. Typically we rush through things that teeth brushing, or washing dishes, and we spend so much time just trying to get it done that we don’t actually experience that moment at all. That’s the yang in us trying to do, do, do without awareness. The more attention we pay to the things that we do, the more yin we will create in our lives.
10: Journal
This might be the most cliche of all of them – and I really tried to stay away from cliche self-care idea’s for this article I really did – but there is something to powerful about journalling I just had to include it. I used to make this my bed-time habit. There was something magical about being able to let out all my fears, anxieties, hopes and dreams on a piece of paper without judgment. Letting out these emotions, whether it is to a close friend, or your journal creates space and is one of the most yin activities I can think of.
Now you really do not have to do all of these things at once – in fact I would actually recommend that you don’t. Pick on or two and go from there. It’s important to start where you are at, and not try and make too many changes at once or they will likely not stick, but picking one or two per day is a great start!
I hope you enjoyed this article! If you found it helpful, liked it or even if you hated it I would love to hear from you, so feel free to comment below.
Melissa Singh